Material:
/*
Record 1
A plane-wave DFT calculation with GGA-PBE was carried out for a relaxed structure of InAgSe2.

The structure belongs to space group I-42d (No. 122); the cell edges are 6.218, 6.218 and 12.011 Å and the angles 90.00°, 90.00° and 90.00°. The inequivalent atoms are In at (0.000, 0.000, 0.000), Ag at (0.000, 0.000, 0.500) and Se at (0.246, 0.250, 0.125).

The value obtained for the final energy is -3.56 eV/atom. The calculation puts the maximum piezoelectric response at 0.204 C/m². The calculation puts the formation energy at -15.121 kcal/mol of atoms.

***

Record 2
A plane-wave DFT calculation with GGA-PBE was carried out for a relaxed structure of InAgSnSe4.

The structure belongs to space group I-4 (No. 82); the cell edges are 6.028, 6.028 and 11.450 Å and the angles 90.00°, 90.00° and 90.00°. The inequivalent atoms are In at (0.000, 0.000, 0.000), Ag at (0.000, 0.500, 0.250), Sn at (0.000, 0.500, 0.750) and Se at (0.223, 0.761, 0.614).

The value obtained for the final energy is -3.75 eV/atom. The calculation puts the formation energy at -15.085 kcal/mol of atoms.

***

Question: Which of these has the highest final energy?
Answer: InAgSe2

***

Question: Which value of formation energy does entry 2 give?
Answer: -15.085 kcal/mol of atoms


Entry 1:
Cu4SnS4 after structural relaxation. Source: the Materials Project, functional PBE-GGA.

Computed properties:
* total DFT energy (no corrections): -4.342 eV/atom

abc: 13.6484 7.6361 6.4370
angles: 90.00 90.00 90.00
Closest atoms and distances in Å follow each position.
Space group Pnma (No. 62)
Inequivalent atoms, fractional coordinates:
Cu: 0.0675 0.2500 0.1088 (multiplicity 4)  2 S 2.23-2.29, 1 Cu 2.47
Cu: 0.1582 0.2500 0.4408 (multiplicity 4)  3 S 2.25-2.29, 1 Cu 2.47
Cu: 0.1650 0.5111 0.8745 (multiplicity 8)  4 S 2.26-2.39
Sn: 0.0860 0.7500 0.3744 (multiplicity 4)  4 S 2.49-2.50
S: 0.0841 0.7500 0.7604 (multiplicity 4)  3 Cu 2.23-2.26, 1 Sn 2.49
S: 0.0867 0.2500 0.7560 (multiplicity 4)  4 Cu 2.25-2.39, 1 Sn 2.50
S: 0.1772 0.0073 0.2368 (multiplicity 8)  4 Cu 2.29-2.52, 1 Sn 2.49


Entry 2:
CuSn4S8 after structural relaxation. Source: the Materials Project, functional PBE-GGA.

Computed properties:
* total DFT energy (no corrections): -4.446 eV/atom

abc: 10.6014 10.6014 10.6014
angles: 90.00 90.00 90.00
Closest atoms and distances in Å follow each position.
Space group F-43m (No. 216)
Inequivalent atoms, fractional coordinates:
Cu: 0.0000 0.0000 0.0000 (multiplicity 4)  4 S 2.33
Sn: 0.1215 0.1215 0.3785 (multiplicity 16)  6 S 2.60-2.67
S: 0.1239 0.1239 0.6239 (multiplicity 16)  3 Sn 2.60
S: 0.1271 0.1271 0.1271 (multiplicity 16)  1 Cu 2.33


no.,energy relative to the elements (meV/atom),magnetic moment (μB per formula unit)
1,-460,0.017
2,-661,0.005


# 1
Density functional theory data (GGA-PBE) for a relaxed Sm2Cr2C3 crystal.

Electronic total energy, eV per atom: -8.2943

Lattice parameters (Å, degrees): 5.480 5.480 5.708 75.57 75.57 36.89
Atoms (fractional coordinates):
1 Sm 0.398 0.398 0.819
2 Sm 0.602 0.602 0.181
3 Cr 0.159 0.159 0.603
4 Cr 0.841 0.841 0.397
5 C 0.292 0.292 0.281
6 C 0.708 0.708 0.719
7 C 0.000 0.000 0.500

# 2
Density functional theory data (GGA-PBE) for a relaxed La5CrPb3 crystal.

Electronic total energy, eV per atom: -5.3620

Lattice parameters (Å, degrees): 9.865 9.865 6.990 90.00 90.00 120.00
Atoms (fractional coordinates):
1 La 0.750 0.750 0.750
2 La 0.250 0.000 0.750
3 La 0.000 0.250 0.750
4 La 0.250 0.250 0.250
5 La 0.750 0.000 0.250
6 La 0.000 0.750 0.250
7 La 0.667 0.333 0.000
8 La 0.333 0.667 0.000
9 La 0.333 0.667 0.500
10 La 0.667 0.333 0.500
11 Cr 0.000 0.000 0.000
12 Cr 0.000 0.000 0.500
13 Pb 0.396 0.396 0.750
14 Pb 0.604 0.000 0.750
15 Pb 0.000 0.604 0.750
16 Pb 0.604 0.604 0.250
17 Pb 0.396 0.000 0.250
18 Pb 0.000 0.396 0.250

# 3
Density functional theory data (GGA-PBE) for a relaxed Nd3Ge2Rh2 crystal.

Electronic total energy, eV per atom: -6.3140

Lattice parameters (Å, degrees): 5.709 8.140 13.462 90.00 90.00 90.00
*/

Assignment:
Your job: transcribe the lines further up up to the one that holds "0.250 0.250", that line included.

Outcome:
Record 1
A plane-wave DFT calculation with GGA-PBE was carried out for a relaxed structure of InAgSe2.

The structure belongs to space group I-42d (No. 122); the cell edges are 6.218, 6.218 and 12.011 Å and the angles 90.00°, 90.00° and 90.00°. The inequivalent atoms are In at (0.000, 0.000, 0.000), Ag at (0.000, 0.000, 0.500) and Se at (0.246, 0.250, 0.125).

The value obtained for the final energy is -3.56 eV/atom. The calculation puts the maximum piezoelectric response at 0.204 C/m². The calculation puts the formation energy at -15.121 kcal/mol of atoms.

***

Record 2
A plane-wave DFT calculation with GGA-PBE was carried out for a relaxed structure of InAgSnSe4.

The structure belongs to space group I-4 (No. 82); the cell edges are 6.028, 6.028 and 11.450 Å and the angles 90.00°, 90.00° and 90.00°. The inequivalent atoms are In at (0.000, 0.000, 0.000), Ag at (0.000, 0.500, 0.250), Sn at (0.000, 0.500, 0.750) and Se at (0.223, 0.761, 0.614).

The value obtained for the final energy is -3.75 eV/atom. The calculation puts the formation energy at -15.085 kcal/mol of atoms.

***

Question: Which of these has the highest final energy?
Answer: InAgSe2

***

Question: Which value of formation energy does entry 2 give?
Answer: -15.085 kcal/mol of atoms


Entry 1:
Cu4SnS4 after structural relaxation. Source: the Materials Project, functional PBE-GGA.

Computed properties:
* total DFT energy (no corrections): -4.342 eV/atom

abc: 13.6484 7.6361 6.4370
angles: 90.00 90.00 90.00
Closest atoms and distances in Å follow each position.
Space group Pnma (No. 62)
Inequivalent atoms, fractional coordinates:
Cu: 0.0675 0.2500 0.1088 (multiplicity 4)  2 S 2.23-2.29, 1 Cu 2.47
Cu: 0.1582 0.2500 0.4408 (multiplicity 4)  3 S 2.25-2.29, 1 Cu 2.47
Cu: 0.1650 0.5111 0.8745 (multiplicity 8)  4 S 2.26-2.39
Sn: 0.0860 0.7500 0.3744 (multiplicity 4)  4 S 2.49-2.50
S: 0.0841 0.7500 0.7604 (multiplicity 4)  3 Cu 2.23-2.26, 1 Sn 2.49
S: 0.0867 0.2500 0.7560 (multiplicity 4)  4 Cu 2.25-2.39, 1 Sn 2.50
S: 0.1772 0.0073 0.2368 (multiplicity 8)  4 Cu 2.29-2.52, 1 Sn 2.49


Entry 2:
CuSn4S8 after structural relaxation. Source: the Materials Project, functional PBE-GGA.

Computed properties:
* total DFT energy (no corrections): -4.446 eV/atom

abc: 10.6014 10.6014 10.6014
angles: 90.00 90.00 90.00
Closest atoms and distances in Å follow each position.
Space group F-43m (No. 216)
Inequivalent atoms, fractional coordinates:
Cu: 0.0000 0.0000 0.0000 (multiplicity 4)  4 S 2.33
Sn: 0.1215 0.1215 0.3785 (multiplicity 16)  6 S 2.60-2.67
S: 0.1239 0.1239 0.6239 (multiplicity 16)  3 Sn 2.60
S: 0.1271 0.1271 0.1271 (multiplicity 16)  1 Cu 2.33


no.,energy relative to the elements (meV/atom),magnetic moment (μB per formula unit)
1,-460,0.017
2,-661,0.005


# 1
Density functional theory data (GGA-PBE) for a relaxed Sm2Cr2C3 crystal.

Electronic total energy, eV per atom: -8.2943

Lattice parameters (Å, degrees): 5.480 5.480 5.708 75.57 75.57 36.89
Atoms (fractional coordinates):
1 Sm 0.398 0.398 0.819
2 Sm 0.602 0.602 0.181
3 Cr 0.159 0.159 0.603
4 Cr 0.841 0.841 0.397
5 C 0.292 0.292 0.281
6 C 0.708 0.708 0.719
7 C 0.000 0.000 0.500

# 2
Density functional theory data (GGA-PBE) for a relaxed La5CrPb3 crystal.

Electronic total energy, eV per atom: -5.3620

Lattice parameters (Å, degrees): 9.865 9.865 6.990 90.00 90.00 120.00
Atoms (fractional coordinates):
1 La 0.750 0.750 0.750
2 La 0.250 0.000 0.750
3 La 0.000 0.250 0.750
4 La 0.250 0.250 0.250